A few weeks ago, FedSmith advised readers about a change in 2024 that would impact catch-up contributions to the TSP for some federal employees:
In 2024, employees putting catch-up funds in their TSP (or 401(k) funds) will only be going into after-tax Roth accounts for employees who earned more than $145,000 the previous year. This is a change to the existing rules and is part of the Secure 2.0 Act Congress passed in December.
More Retirement Income Through Catch-up Contributions For Highly Compensated Feds
This provision would obviously impact many Americans in 401(k) plans as well as the TSP.
Many companies were concerned. The changes would not be quick or easy to implement as companies will have to integrate a system that tracks employee income for the previous year and then ensure that catch-up contributions are placed into the Roth accounts if the employee has earned more than $145,000 during the previous year.
The Federal Retirement Thrift Investment Board (FRTIB) would also have to make the same changes for the TSP to comply as outlined in this earlier article.
The American Retirement Association was one organization that demanded a two-year delay in implementing the new Roth IRA catch-up rule. This letter noted, “For many of these plans, unless this requirement is delayed very quickly (i.e., this summer), their only means of compliance will be to eliminate all catch-up contributions for 2024.”
Late last week, the Internal Revenue Service (IRS) issued a notice stating that it is implementing an administrative transition period. The transition period makes these changes:
- It implements a two-year freeze on the rule requiring catch-up contributions by higher-income participants in 401(k) and similar retirement plans to be designated as after-tax Roth contributions; and
- It “clarified” that plan participants age 50 and over can continue to make catch‑up contributions after 2023, regardless of income.
The rule change is significant, even for hundreds of thousands of federal employees. At the end of December 2023, the average federal employee salary in Washington, DC was $130,820. That is an average, so at least a few hundred thousand federal employees are making $145,000 or more. According to the Office of Personnel Management, there are 268,075 federal employees making at least $145,000.
_Inserted here: quantum chemistry results_
........
CH3N3O2Si as an isolated structure. Source: the OMol25 dataset; level of theory: ωB97M-V/def2-TZVPD.

Last column: natural (NBO) charge in e.
Positions of all 10 atoms, in Å:
C -0.04 1.99 -0.01  -0.237
N -0.45 3.05 -0.19  -0.208
N 1.48 -0.75 -0.56  -1.256
N -1.56 -0.69 -0.14  0.364
O -2.52 -0.24 0.46  -0.382
O -1.50 -1.61 -0.92  -0.387
Si 0.46 0.30 0.43  1.436
H 2.39 -0.98 -0.21  0.406
H 0.98 -1.57 -0.75  0.414
H 0.76 0.51 1.89  -0.150

Kohn-Sham gap	0.335	Eh

=====

C27H48BrMnN8O6P2S as an isolated structure at a distorted geometry, computed with the ωB97M-V functional and the def2-TZVPD basis.

Last column: Löwdin spin population.
Positions of all 94 atoms, in Å:
Br (5.70, 1.42, -5.41)  0.000
Mn (0.18, 0.57, 0.25)  3.988
S (0.08, 1.97, 2.31)  -0.134
P (-0.51, 1.03, -3.01)  0.006
P (-2.78, 0.20, -1.40)  0.003
O (-1.89, 0.56, -0.24)  0.016
O (0.28, 0.59, -1.84)  0.029
O (0.11, -1.24, 1.39)  0.060
O (1.91, 1.00, 0.18)  0.049
O (-2.01, 0.30, -2.83)  0.001
O (3.82, 1.37, 1.25)  0.012
N (-3.99, 1.30, -1.55)  0.000
N (0.16, 0.46, -4.39)  0.001
N (-0.83, 2.64, -3.04)  0.001
N (-2.19, 0.77, 2.85)  -0.006
N (-0.42, -3.25, 2.30)  0.003
N (-0.60, 0.53, 4.48)  -0.017
N (1.70, -2.33, 2.58)  0.004
N (-3.22, -1.40, -1.27)  0.001
C (-4.53, 1.96, -0.37)  0.000
C (5.69, 0.94, -2.59)  -0.001
C (-0.95, 1.00, 3.30)  -0.016
C (3.82, 1.35, -1.14)  -0.009
C (3.65, 1.88, -3.48)  0.000
C (0.86, -0.62, 5.98)  -0.002
C (-4.32, -1.90, -2.08)  0.000
C (2.05, -0.74, 6.67)  0.000
C (-1.84, -2.98, 2.17)  0.000
C (3.20, 1.26, 0.22)  0.004
C (2.09, -3.19, 3.68)  0.000
C (0.47, -2.25, 2.06)  0.008
C (3.09, 1.86, -2.22)  0.001
C (4.94, 1.40, -3.66)  0.000
C (3.04, 0.23, 6.54)  -0.003
C (-2.07, -2.29, -1.30)  0.000
C (-4.85, 1.35, -2.71)  0.000
C (0.90, -0.79, -4.31)  0.000
C (-0.07, -4.65, 2.22)  0.001
C (-0.39, 3.52, -1.97)  0.003
C (2.82, 1.32, 5.71)  0.000
C (0.66, 0.47, 5.13)  -0.001
C (-0.21, 0.86, -5.74)  0.000
C (-1.72, 3.26, -4.01)  0.000
C (1.64, 1.44, 5.00)  -0.004
C (2.71, -1.37, 2.18)  0.000
C (5.12, 0.91, -1.33)  -0.001
H (3.96, 0.14, 7.09)  0.000
H (1.83, -0.69, -4.87)  0.000
H (-2.27, 2.50, -4.56)  0.000
H (-0.29, -5.18, 3.15)  0.000
H (-2.90, 0.33, 3.42)  0.000
H (-1.25, 4.01, -1.50)  0.000
H (0.27, 4.30, -2.37)  0.000
H (-2.38, -3.27, -0.93)  0.000
H (3.10, 2.28, -4.32)  0.000
H (-1.68, -2.42, -2.31)  0.000
H (-5.50, 1.56, -0.09)  0.000
H (-4.64, 3.03, -0.58)  0.000
H (0.08, -1.36, 6.10)  0.000
H (0.65, 0.69, -6.38)  0.000
H (2.81, -3.95, 3.35)  0.000
H (2.10, 2.24, -2.06)  0.000
H (-4.42, 0.76, -3.52)  0.000
H (2.64, -0.44, 2.75)  0.000
H (-2.36, -3.31, 3.07)  0.000
H (-1.28, -1.90, -0.66)  0.000
H (0.14, 2.95, -1.20)  0.003
H (-2.00, -1.91, 2.01)  0.000
H (-1.32, 0.02, 4.99)  0.000
H (1.23, -3.68, 4.13)  0.000
H (2.21, -1.59, 7.32)  0.000
H (-4.96, 2.38, -3.04)  0.000
H (1.15, -0.99, -3.27)  0.000
H (0.99, -4.77, 1.98)  0.000
H (-5.85, 0.96, -2.49)  0.000
H (-1.15, 3.88, -4.70)  0.000
H (5.69, 0.56, -0.48)  0.000
H (6.70, 0.60, -2.74)  0.000
........
_The entry goes on_
There are also a number of federal employees outside the standard General Schedule system that make more than $145,000 and that will be impacted by the transition period just announced by the IRS.